A first problem with relative frequencies
Alessandro Gecchele
Between two parts of the article: quantum chemistry results:
Formula: C9H34N6O11
Source: OMol25
Level of theory: wB97M-V/def2-TZVPD

Geometry as XYZ:
```
60
Properties=species:S:1:pos:R:3
C 3.49482 0.15858 1.90936
O 4.21675 0.03161 0.85579
N 2.45770 1.04259 1.93137
N 3.80072 -0.60572 3.01478
H 1.89501 1.18195 2.74831
H 2.35986 1.64362 1.13370
H 3.01141 -0.89824 3.65210
H 4.47856 -1.25927 2.64263
C 2.50488 2.33417 -1.55786
O 1.58329 2.21730 -0.75539
N 2.24415 2.58616 -2.86306
N 3.85486 2.30690 -1.20920
H 1.27644 2.52814 -3.08173
H 2.94029 2.18015 -3.41431
H 4.09385 1.64469 -0.48109
H 4.43581 2.35603 -2.05504
C -1.50369 0.72119 3.12599
O -0.54761 0.70675 3.93168
N -1.75330 -0.42867 2.42850
N -2.28310 1.79506 2.88106
H -1.12050 -1.15374 2.49256
H -2.58829 -0.52646 1.94522
H -2.69878 1.77000 1.96362
H -1.87502 2.61528 3.02725
O 2.01677 -1.14910 -0.81523
H 1.94375 -1.99908 -1.23929
H 2.84889 -1.03529 -0.32773
O -0.59660 0.82681 -0.09399
H -0.06165 1.53681 -0.48342
H -0.16871 0.61670 0.77451
C 0.72623 -2.82787 2.15175
C 0.70521 -2.32693 3.59444
O 1.23634 -1.12664 3.94501
O 0.05220 -1.95264 1.26567
H 0.24745 -3.83369 2.22956
H 1.74990 -2.98223 1.74606
H 1.10560 -3.10732 4.23477
H -0.35327 -2.37439 3.84601
H 0.44171 -0.51319 4.00476
H 0.58254 -1.69970 0.52695
C -4.65630 0.57653 -0.79400
C -4.22615 -0.46120 -1.79466
O -3.06641 0.19383 -2.45897
O -3.59493 0.67200 0.23723
H -5.56722 0.40052 -0.21752
H -4.70180 1.58378 -1.20955
H -4.95233 -0.80467 -2.47396
H -3.89330 -1.34359 -1.28210
H -2.27625 -0.43121 -2.43742
H -2.74232 0.66195 -0.19685
C -0.96240 0.21484 -4.45219
C -0.31201 -0.95033 -3.69158
O -0.72799 -1.17022 -2.28515
O -0.92063 1.36323 -3.69590
H -1.98982 0.02064 -4.70812
H -0.43646 0.33794 -5.43903
H 0.81333 -0.76544 -3.72662
H -0.38818 -1.90968 -4.13547
H -0.39274 -0.45744 -1.69301
H -1.76055 1.26815 -3.17120
```

Its charge is 0. As for the structure (SMILES): NC(N)=O.NC(N)=O.NC(N)=O.OCCO.OCCO.OCCO.O.O. The HOMO energy is -9.8 eV.

These are the Mulliken partial charges, in e, on atoms 1 to 2: atom 1 (C): 0.5224, atom 2 (O): -0.8193
The article goes on:
Esperto in Software per Impianti Galvanici e per Automazione Industriale. Oltre 20 anni di esperienza e più di 60 impianti collaudati nel mondo
One of the problems that relative frequencies have is something very similar to overfitting.
### Data records from another source follow
<<<
DFT (ωB97M-V with the def2-TZVPD basis set) results for a cluster of 6 separate species, C18H23F5NO15P in total at a distorted geometry.

* structure (SMILES): O=C1OC[C@@H](F)O1.O=C1OC[C@@H](F)O1.O=C1OC[C@@H](F)O1.O=C1OC[C@@H](F)O1.O=C1OC[C@@H](F)O1.CC(C)=NP

```
63
Properties=species:S:1:pos:R:3:mulliken_charge:R:1
C -2.69 6.57 1.14 -1.05
C -1.32 6.37 1.84 0.68
C -0.93 5.15 2.69 -0.82
N -0.40 7.29 1.69 -0.49
P 0.22 7.32 0.05 0.01
H -2.97 7.64 1.15 0.36
H -3.50 5.92 1.55 0.32
H -2.59 6.24 0.07 0.24
H -0.39 5.41 3.63 0.42
H -0.21 4.55 2.08 0.10
H -1.79 4.47 2.92 0.20
H 0.72 8.64 -0.21 0.06
H -0.85 7.17 -0.89 0.02
C -3.28 1.72 0.90 -0.43
C -1.97 2.24 0.40 0.25
O -1.04 1.74 1.35 -0.28
C -1.58 0.59 1.82 0.63
O -0.97 -0.24 2.41 -0.54
O -2.89 0.48 1.50 -0.31
F -1.93 3.60 0.42 -0.17
H -3.73 2.37 1.65 0.29
H -4.00 1.55 0.10 0.32
H -1.69 1.88 -0.59 0.19
C -1.34 -3.66 3.38 -0.34
C -0.37 -4.28 2.41 0.97
O -1.02 -5.49 2.06 -0.35
C -2.35 -5.25 2.17 0.67
O -3.20 -5.94 1.70 -0.52
O -2.60 -4.12 2.88 -0.34
F 0.81 -4.58 3.02 -0.30
H -1.20 -4.02 4.40 0.27
H -1.28 -2.57 3.37 0.15
H -0.19 -3.69 1.51 -0.18
C 1.37 -2.25 -0.60 -0.46
C 1.88 -0.92 -1.08 0.35
O 0.74 -0.35 -1.71 -0.27
C -0.34 -0.88 -1.08 0.42
O -1.44 -0.44 -1.16 -0.58
O 0.00 -1.96 -0.34 -0.13
F 2.87 -1.07 -2.00 -0.33
H 1.43 -3.02 -1.37 0.30
H 1.88 -2.60 0.29 0.42
H 2.22 -0.25 -0.28 0.29
C -1.20 -6.27 -2.32 -0.43
C -0.88 -7.26 -1.23 0.46
O 0.48 -6.97 -0.95 -0.33
C 0.65 -5.66 -1.23 0.76
O 1.58 -5.01 -0.86 -0.54
O -0.37 -5.17 -1.97 -0.31
F -0.97 -8.54 -1.69 -0.31
H -0.93 -6.64 -3.31 0.28
H -2.25 -5.99 -2.32 0.29
H -1.48 -7.15 -0.33 0.10
C 4.84 1.37 -3.08 -0.32
C 3.80 2.40 -2.73 0.30
O 4.58 3.50 -2.31 -0.28
C 5.76 3.41 -2.99 0.57
O 6.54 4.30 -3.09 -0.49
O 5.92 2.18 -3.54 -0.33
F 3.03 1.98 -1.69 -0.28
H 5.16 0.79 -2.21 0.26
H 4.50 0.68 -3.85 0.29
H 3.16 2.70 -3.56 0.28
```

=====

DFT (ωB97M-V with the def2-TZVPD basis set) results for an isolated molecule of C18H23FN2O4 at a distorted geometry.

* relative energy (zero: lowest compared OMol25 entry of this formula, charge and spin): 120.1 kcal per mole
* structure (SMILES): NCCO[C@@H]1[C@H]2CC[C@@H](F)C[C@@H]2C(=O)N[C@H]1c1ccc2c(c1)OCO2

```
48
Properties=species:S:1:pos:R:3:mulliken_charge:R:1
O 1.62 -1.52 3.34 -0.65
F 4.30 1.81 1.36 -0.31
O -5.48 0.52 1.59 -0.48
O -3.60 1.82 2.19 -0.54
O 0.28 -0.58 -1.87 -0.32
C 1.38 -1.35 2.18 -0.34
C -4.07 -1.30 0.70 -0.85
C -2.82 -1.78 0.33 -0.62
C -1.80 0.12 1.58 -0.87
C -4.24 -0.09 1.40 0.73
C -3.05 0.66 1.74 0.37
C -1.65 -1.05 0.80 0.01
N -0.08 1.78 -3.70 -0.62
N 0.33 -2.13 1.59 -0.23
C -5.09 1.82 2.05 -0.17
C -0.97 -0.09 -2.41 -0.91
C -0.67 0.38 -3.88 -0.44
C -0.33 -1.61 0.40 0.61
C 4.01 0.82 -0.74 -1.21
C 3.76 -0.39 1.46 -1.14
C 2.49 0.71 -0.83 -0.91
C 4.60 0.72 0.77 0.05
C 0.43 -0.54 -0.43 -0.78
C 2.25 -0.35 1.37 0.44
C 1.88 -0.50 -0.18 -0.20
H -4.99 -1.84 0.62 0.38
H -2.80 -2.60 -0.32 0.55
H -0.91 0.58 1.95 0.54
H 0.55 1.90 -4.44 0.26
H 0.41 1.87 -2.76 0.26
H -0.30 -2.44 2.37 0.44
H -5.38 2.63 1.37 0.26
>>>
### End of the data records
Overfitting is a classic problem that afflicts a statistical model and occurs when it is equipped with an excessive number of parameters compared to the data collected. If you give credit to a model affected by overfitting you are making a mistake, because in reality the model perfectly explains only the data available, but gives incorrect indications if you use other data coming from the same process or from other similar processes.
The use of relative frequencies instead of the actual probabilities of the process underlying the data has the same effect on us as the use of an overfitted model: in fact, from the relative frequencies we get an illusory apparent clear understanding of the observed partial phenomenon, because the uncertainty associated with the limited data has been completely removed from the scene. The data result absolutely perfect, but, unfortunately, in general they do not represent the process we want to understand.
For this problem, the precautionary principle would suggest the injection of a certain amount of uncertainty in the relative frequencies, especially in the case of data inserted in high-dimensional sample spaces, and in presence of low data density situations.
In order to explain what we risk taking bare and raw data for granted, I showed in the initial figure of this article two diagrams containing the results of an experiment. The colored points represent the state (expressed in terms of specific energy and specific entropy) of a thousand relative frequency distributions obtained from data coming from four distinct IID processes (throws of a loaded die with different prevalence of "1" at 50% -red points-, 60% -blue points-, 70% -purple points- and 80% -blue points-). The processes have each a very precise and fixed theoretical state, regardless of the dimension of the sample space used. The theoretical state of each process is highlighted by a cross on the curve with maximum possible entropy, being the processes IID. The first diagram uses data chunks of 500 samples per realization, while the second diagram uses data chunks of 10,000 samples per realization. Each cloud having the same color is composed of points referring to the same 1,000 realizations.
The following is a DFT calculation (ωB97M-V/def2-TZVPD) of a molecular structure, C17H30MoNO5Si3 in a non-equilibrium geometry.

Values from the calculation:
Total charge: +3
Kohn-Sham gap (alpha / beta) in eV: 6.71 / 6.75
Multiplicity: 1
Energy relative to the best compared isomer or geometry (same formula, charge and spin) in eV: 1.755
E_tot in eV: -55303.2871

Geometry as XYZ:
```
57
C17H30MoNO5Si3 ωB97M-V/def2-TZVPD
Mo -0.472 0.478 -0.354
C 1.651 2.743 -0.905
O 1.345 1.555 -0.187
Si 2.239 0.014 -0.528
C 3.627 0.039 0.772
C 2.834 0.133 -2.335
C 0.658 -1.152 -0.072
Si 0.581 -1.813 1.770
C 0.421 -0.014 2.499
C -1.175 -2.504 1.989
C 2.047 -2.794 2.438
Si 0.355 -2.536 -1.521
C 0.057 -1.534 -3.132
C 1.977 -3.514 -1.432
C -1.186 -3.594 -1.199
H 2.671 3.061 -0.674
H 0.963 3.540 -0.607
H 1.561 2.569 -1.985
H 4.381 0.780 0.505
H 4.138 -0.919 0.811
H 3.287 0.281 1.777
H 3.709 0.782 -2.402
H 2.097 0.522 -3.039
H 3.151 -0.834 -2.717
H 0.179 0.693 1.648
H 1.311 0.346 3.005
H -0.392 0.027 3.218
H -1.912 -1.986 1.368
H -1.480 -2.402 3.028
H -1.239 -3.563 1.765
H 2.988 -2.252 2.427
H 2.198 -3.725 1.900
H 1.854 -3.068 3.472
H 0.907 -1.572 -3.806
H -0.196 -0.474 -2.980
H -0.773 -1.969 -3.683
H 2.872 -2.913 -1.556
H 1.989 -4.276 -2.205
H 2.063 -4.036 -0.483
H -2.097 -3.016 -1.046
H -1.068 -4.282 -0.369
H -1.349 -4.211 -2.081
O -5.430 6.615 2.248
C -4.966 5.805 1.627
O -4.540 4.992 0.869
C -3.607 3.928 0.783
C -2.847 3.500 1.885
C -1.949 2.479 1.691
N -1.758 1.838 0.507
C -2.583 2.239 -0.530
C -3.485 3.285 -0.439
C -2.492 1.332 -1.713
O -2.811 1.547 -2.838
O -1.924 0.188 -1.271
H -2.955 3.942 2.864
H -1.352 2.144 2.528
H -4.073 3.558 -1.305
```

The following is a DFT calculation (ωB97M-V/def2-TZVPD) of 2 unconnected molecules or ions with the total composition C2H5ISi in a non-equilibrium geometry.

Values from the calculation:
Kohn-Sham gap in eV: 7.85
Multiplicity: 1
Energy relative to the best compared isomer or geometry (same formula, charge and spin) in eV: 2.853
E_tot in eV: -18130.0540

Geometry as XYZ:
```
9
C2H5ISi ωB97M-V/def2-TZVPD
C 0.126 0.270 -1.123
C -0.840 0.943 -0.071
Si -0.867 1.746 -1.927
I 2.081 -2.281 2.104
H 1.141 0.203 -0.708
H -0.044 -0.868 -1.249
H -1.650 0.387 0.307
H -0.492 1.596 0.714
H 0.546 -1.998 1.951
```

The following is a DFT calculation (ωB97M-V/def2-TZVPD) of C5H9NO in the gas phase.

Values from the calculation:
Structure (SMILES): CC(=O)[C@@H]1CN1C
Kohn-Sham gap in eV: 10.33
Multiplicity: 1
Energy relative to the best compared isomer or geometry (same formula, charge and spin) in eV: 1.942
E_tot in eV: -8867.2710

Geometry as XYZ:
```
16
C5H9NO ωB97M-V/def2-TZVPD
C 0.992 1.930 -0.438
N 0.434 0.591 -0.516
C -0.957 0.500 -0.879
C -0.514 0.236 0.524
C -0.494 -1.159 1.080
O -1.072 -1.399 2.117
C 0.266 -2.215 0.309
H 1.381 2.211 -1.422
H 1.820 1.936 0.277
H 0.253 2.688 -0.126
H -1.513 1.425 -1.040
H -1.235 -0.324 -1.533
H -0.784 0.992 1.263
H -0.060 -3.204 0.638
H 0.148 -2.108 -0.772
H 1.335 -2.101 0.520
```
Well, as the density of the data decreases due to their insertion into sample spaces of increasing size, the relative frequency distributions give the impression of coming from different processes because their state points generate different clouds. In particular, it seems that the processes of origin of data are gradually simpler, because the apparent distributions become more and more concentrated and with less entropy. If we continue along the descending curves of the clouds of relative frequencies we are led to believe that the more the density will be reduced, the more the process will appear defined, clear and understandable. Ultimately, we will have that:
"With zero data, all is perfectly clear and predictable".
This is the paradox hidden in relative frequencies and from which it is advisable to protect oneself with a valid probability estimator, capable of tracing the center of gravity of the cloud to the right entropy.
One thing highlighted by the diagrams is the presence of two types of errors contained in the data: in addition to the classical statistical one (represented by the width of the cloud) there is a systematic error, represented by the distance of the cloud's center of gravity from the cross indicating the theoretical state. The diagrams show that, by averaging the results of several realizations of the same process, we can only bring the estimate closer to the center of gravity of the cloud, but we cannot bring the cloud closer to the theoretical state of the process. For this purpose it is essential to use a probability estimator, possibly the best one, which is able to make the points of the cloud go up along the right curve, stopping when the energy of the new distribution reaches the estimated energy of the underlying probabilities.
A consequence follows from what has been said: if we believe that relative frequencies are equivalent to probabilities, we arrive at the reassuring - but completely wrong - conclusion that our individual experiences are sufficient to produce a reliable and credible representation of Reality.